Copy the block underneath from the first line to the one with "3.2156, 1.6888]," character by character.

{
  "formula": "C24H45NO2S",
  "method": "ωB97M-V with the def2-TZVPD basis set",
  "smiles": "CCCCCCCCCCC[C@H]1NC(=O)[C@@H](S)[C@]1(CC=O)CCCCCCC",
  "e_tot_ha": -1544.8474,
  "homo_ha": -0.336,
  "orbital_gap_ev": 9.75,
  "species": ["C", "C", "C", "C", "C", "C", "C", "C", "C", "C", "C", "C", "N", "C", "O", "C", "S", "C", "C", "C", "O", "C", "C", "C", "C", "C", "C", "C", "H", "H", "H", "H", "H", "H", "H", "H", "H", "H", "H", "H", "H", "H", "H", "H", "H", "H", "H", "H", "H", "H", "H", "H", "H", "H", "H", "H", "H", "H", "H", "H", "H", "H", "H", "H", "H", "H", "H", "H", "H", "H", "H", "H", "H"],
  "positions_angstrom": [[-6.2892, -0.7210, 3.7702], [-7.0284, -0.6144, 2.4131], [-6.5132, -1.5997, 1.3535], [-5.0020, -1.4381, 1.0636], [-4.2158, -2.6151, 1.7028], [-3.9850, -3.7671, 0.6767], [-2.5280, -3.8937, 0.2280], [-2.0069, -2.6326, -0.5260], [-0.7560, -2.1092, 0.1925], [-0.3846, -0.6575, -0.1530], [-0.2162, -0.4258, -1.6817], [1.1871, 0.0449, -2.1119], [1.0709, 0.1119, -3.5939], [0.6872, 1.4159, -3.9523], [0.3777, 1.8095, -5.0154], [0.7560, 2.3353, -2.6967], [-0.9175, 2.8268, -2.1092], [1.6329, 1.4632, -1.7607], [1.6715, 1.9186, -0.2795], [1.6460, 3.4338, -0.1048], [1.2032, 3.9211, 0.8727], [3.0934, 1.7552, -2.2721], [4.0311, 0.5371, -2.3579], [4.4515, -0.0328, -0.9861], [5.3200, 0.9518, -0.1648], [4.9806, 0.8504, 1.3506], [4.8628, 2.2018, 2.0850], [5.9390, 3.2156, 1.6888], [-6.2265, 0.2697, 4.2166], [-5.2707, -1.0863, 3.6558], [-6.8475, -1.3910, 4.4207], [-8.0942, -0.7959, 2.5598], [-6.9151, 0.4098, 2.0520], [-6.7364, -2.6281, 1.6449], [-7.1086, -1.4083, 0.4564], [-4.6403, -0.5005, 1.4890], [-4.8699, -1.4435, -0.0159], [-4.7894, -3.0010, 2.5407], [-3.2234, -2.3039, 2.0334], [-4.2937, -4.6893, 1.1775], [-4.6383, -3.6649, -0.1937], [-2.4733, -4.7803, -0.4084], [-1.9008, -4.1157, 1.0945], [-2.8069, -1.8972, -0.5863], [-1.7329, -2.9912, -1.5173], [-0.9871, -2.1141, 1.2629], [0.0827, -2.8000, 0.0762], [0.5172, -0.4157, 0.4071], [-1.2413, -0.0543, 0.1574], [-1.0165, 0.1828, -2.0913], [-0.3456, -1.4059, -2.1416], [1.8245, -0.7916, -1.8333], [1.9233, -0.0783, -4.1154], [1.2328, 3.2938, -2.8517], [-0.9444, 2.3726, -0.8363], [2.6341, 1.6058, 0.1307], [0.8646, 1.5397, 0.3423], [2.0778, 4.0912, -0.8897], [3.6005, 2.4839, -1.6428], [3.0856, 2.2065, -3.2685], [4.9562, 0.8946, -2.8232], [3.6695, -0.2697, -2.9965], [5.0620, -0.9207, -1.1641], [3.5577, -0.3483, -0.4457], [5.2475, 1.9704, -0.5409], [6.3623, 0.6591, -0.2809], [4.0695, 0.2728, 1.5135], [5.7844, 0.2803, 1.8206], [5.0226, 1.9769, 3.1433], [3.8627, 2.6353, 2.0171], [5.7534, 3.5924, 0.6832], [6.9357, 2.7860, 1.7726], [5.9081, 4.0862, 2.3437]],

{
  "formula": "C24H45NO2S",
  "method": "ωB97M-V with the def2-TZVPD basis set",
  "smiles": "CCCCCCCCCCC[C@H]1NC(=O)[C@@H](S)[C@]1(CC=O)CCCCCCC",
  "e_tot_ha": -1544.8474,
  "homo_ha": -0.336,
  "orbital_gap_ev": 9.75,
  "species": ["C", "C", "C", "C", "C", "C", "C", "C", "C", "C", "C", "C", "N", "C", "O", "C", "S", "C", "C", "C", "O", "C", "C", "C", "C", "C", "C", "C", "H", "H", "H", "H", "H", "H", "H", "H", "H", "H", "H", "H", "H", "H", "H", "H", "H", "H", "H", "H", "H", "H", "H", "H", "H", "H", "H", "H", "H", "H", "H", "H", "H", "H", "H", "H", "H", "H", "H", "H", "H", "H", "H", "H", "H"],
  "positions_angstrom": [[-6.2892, -0.7210, 3.7702], [-7.0284, -0.6144, 2.4131], [-6.5132, -1.5997, 1.3535], [-5.0020, -1.4381, 1.0636], [-4.2158, -2.6151, 1.7028], [-3.9850, -3.7671, 0.6767], [-2.5280, -3.8937, 0.2280], [-2.0069, -2.6326, -0.5260], [-0.7560, -2.1092, 0.1925], [-0.3846, -0.6575, -0.1530], [-0.2162, -0.4258, -1.6817], [1.1871, 0.0449, -2.1119], [1.0709, 0.1119, -3.5939], [0.6872, 1.4159, -3.9523], [0.3777, 1.8095, -5.0154], [0.7560, 2.3353, -2.6967], [-0.9175, 2.8268, -2.1092], [1.6329, 1.4632, -1.7607], [1.6715, 1.9186, -0.2795], [1.6460, 3.4338, -0.1048], [1.2032, 3.9211, 0.8727], [3.0934, 1.7552, -2.2721], [4.0311, 0.5371, -2.3579], [4.4515, -0.0328, -0.9861], [5.3200, 0.9518, -0.1648], [4.9806, 0.8504, 1.3506], [4.8628, 2.2018, 2.0850], [5.9390, 3.2156, 1.6888], [-6.2265, 0.2697, 4.2166], [-5.2707, -1.0863, 3.6558], [-6.8475, -1.3910, 4.4207], [-8.0942, -0.7959, 2.5598], [-6.9151, 0.4098, 2.0520], [-6.7364, -2.6281, 1.6449], [-7.1086, -1.4083, 0.4564], [-4.6403, -0.5005, 1.4890], [-4.8699, -1.4435, -0.0159], [-4.7894, -3.0010, 2.5407], [-3.2234, -2.3039, 2.0334], [-4.2937, -4.6893, 1.1775], [-4.6383, -3.6649, -0.1937], [-2.4733, -4.7803, -0.4084], [-1.9008, -4.1157, 1.0945], [-2.8069, -1.8972, -0.5863], [-1.7329, -2.9912, -1.5173], [-0.9871, -2.1141, 1.2629], [0.0827, -2.8000, 0.0762], [0.5172, -0.4157, 0.4071], [-1.2413, -0.0543, 0.1574], [-1.0165, 0.1828, -2.0913], [-0.3456, -1.4059, -2.1416], [1.8245, -0.7916, -1.8333], [1.9233, -0.0783, -4.1154], [1.2328, 3.2938, -2.8517], [-0.9444, 2.3726, -0.8363], [2.6341, 1.6058, 0.1307], [0.8646, 1.5397, 0.3423], [2.0778, 4.0912, -0.8897], [3.6005, 2.4839, -1.6428], [3.0856, 2.2065, -3.2685], [4.9562, 0.8946, -2.8232], [3.6695, -0.2697, -2.9965], [5.0620, -0.9207, -1.1641], [3.5577, -0.3483, -0.4457], [5.2475, 1.9704, -0.5409], [6.3623, 0.6591, -0.2809], [4.0695, 0.2728, 1.5135], [5.7844, 0.2803, 1.8206], [5.0226, 1.9769, 3.1433], [3.8627, 2.6353, 2.0171], [5.7534, 3.5924, 0.6832], [6.9357, 2.7860, 1.7726], [5.9081, 4.0862, 2.3437]],